Is this an Isekai??


That was all he could see, wait maybe the word 'see' doesn't fit right here.

He could feel it, the darkness that didn't leave any space for light.

'Where am I?'

Feeling as if he was floating in some direction, the soul tried to move his body or what could be his apparition possibly.

After trying some more, the soul finally stopped as he felt he was not moving in his desired direction, but moving towards something that was pulling him in its direction.

He didn't have any collection of what was going on as he spent his time in the dark space, where he couldn't produce any thoughts, or more like something was not allowing him to have a stable mind to think.

Being in the dark and unknown could make even the toughest and strongest of beings feel the terror of what was yet to come.

But the soul, as if not having the slightest inkling of what was happening just floated about the space.

It felt like an eternity while it also felt like a few minutes had passed when suddenly he felt the pull he was feeling all the time become stronger and stronger.

His surroundings started dazzling as they changed from a mix of different colors like that of a rainbow and he felt himself dragged into the infinite end.

A few seconds later, the pull reached its peak and suddenly everything became bright white.

The soul couldn't resist anything as he felt like dropping into a white canvas with great force.

And then everything disappeared becoming dark again, as if all of what happened was a dream.


Felix felt like he spent a lot of time traveling somewhere and at long last had reached his destination.

'Ouch! It hurts.'

Struggling to move his body which seems to have been tied strongly, he felt pain around several parts of his body.

Slowly opening his eyes which happened to be the only thing he could do at the moment, he gazed at the world after a long time that felt like an eternity.

It was still dark but not so dark that he couldn't even perceive his surroundings and look at where he was.

It seemed that he was inside of something with a relatively small space but it was still tightly occupied with things here and there.

The thing that he was on seemed to be moving as he felt it slightly shaking, and giving a bump as if on a poorly maintained road.

'Where is this?'

He tried saying, only to find that his mouth was stuffed with a cloth, because of which he ended up making some gibberish sounds.

Felix felt his arms hurt before he looked at his body which appeared to be smaller and malnourished, and skin that looked a bit pale with lots of bruises on every part of his body.

It was the first time for him to feel such pain as he never got that badly hurt or in an accident considering his crappy luck.

'Why is my body covered in bruises that don't look like it was done by merely falling or an accident? More like getting thrashed around by buffed guys in a UFC match.', his mind buzzed with thoughts.

'Wait, what am I even wearing?'

He turned down to look at his clothes.

No, it wasn't worthy enough to be called a cloth, because it was just a piece of sleeveless white dirty rag that covered his body from the neck to his ankles. Something that could be torn apart by just pulling at it.

'What the hell is going on!!'

Felix tried removing the ropes that were tying him but gave up after some minutes of struggling as he couldn't seem to free himself of the constraints.

He tried poking his tongue out as the cloth that covered his mouth slowly came out.

"Huff! Huff! Ohh shit that felt suffocating.", he gasped.

'Wait my voice seems different.'

"Cough cough...Hmm...Mic testing 1,2...3."

'My voice seems childish, did I become younger?'

Still clueless about what was going on, a thought suddenly entered his mind.

'No way!! Did I...Did I get isekai'd?'

Staring at the ceiling and shaking with excitement as his hands trembled with joy, Felix shouted.

"Holy shit!! Wasn't I killed by that truck? How the hell did I get sent to another world?"

And then he remembered the cliche troupe.

'Wait If I got transmigrated to another world, then that means-'

Calculated crystals, as found in the file >
~~~
Material: Mn3BeTe
Method: DFT, GGA-PBE
State: relaxed

a = 4.2774 Å, b = 4.2774 Å, c = 4.2774 Å
α = 90.00°, β = 90.00°, γ = 90.00°
Closest atoms and distances in Å follow each position.
Fractional positions:
Mn: 0.0000 0.0000 0.5000  2 Be 2.14
Mn: 0.0000 0.5000 0.0000  2 Be 2.14
Mn: 0.5000 0.0000 0.0000  2 Be 2.14
Be: 0.0000 0.0000 0.0000  6 Mn 2.14
Te: 0.5000 0.5000 0.5000  12 Mn 3.02

Properties
VASP energy in eV/atom: -6.480

Material: Dy4SnSe4
Method: DFT, GGA-PBE
State: relaxed

a = 7.3539 Å, b = 7.3539 Å, c = 10.3997 Å
α = 119.45°, β = 119.45°, γ = 32.37°
Closest atoms and distances in Å follow each position.
Fractional positions:
Dy: 0.0976 0.0976 0.3855  4 Se 2.89-3.00, 2 Sn 3.03
Dy: 0.2925 0.2925 0.1919  5 Se 2.83-2.95, 1 Sn 3.04
Dy: 0.7075 0.7075 0.8081  5 Se 2.83-2.95, 1 Sn 3.04
Dy: 0.9024 0.9024 0.6145  4 Se 2.89-3.00, 2 Sn 3.03
Sn: 0.5000 0.5000 0.5000  6 Dy 3.03-3.04
Se: 0.1096 0.1096 0.8953  4 Dy 2.83-2.89
Se: 0.2972 0.2972 0.6951  5 Dy 2.90-3.00
Se: 0.7028 0.7028 0.3049  5 Dy 2.90-3.00
Se: 0.8904 0.8904 0.1047  4 Dy 2.83-2.89

Properties
VASP energy in eV/atom: -5.636

Material: Rb2PrSnTe4
Method: DFT, GGA-PBE
State: relaxed

a = 8.0900 Å, b = 4.5728 Å, c = 8.9750 Å
α = 90.00°, β = 106.89°, γ = 90.00°
Closest atoms and distances in Å follow each position.
Fractional positions:
Rb: 0.0000 0.0000 0.0000  6 Te 3.73-3.74
Rb: 0.5000 0.5000 0.0000  6 Te 3.67-3.68
Pr: 0.0000 0.5000 0.5000  6 Te 3.21-3.22
Sn: 0.5000 0.0000 0.5000  6 Te 3.14-3.15
Te: 0.2413 0.0000 0.7030  1 Sn 3.15, 2 Pr 3.21
Te: 0.2735 0.5000 0.3017  2 Sn 3.14, 1 Pr 3.22
Te: 0.7265 0.5000 0.6983  2 Sn 3.14, 1 Pr 3.22
Te: 0.7587 0.0000 0.2970  1 Sn 3.15, 2 Pr 3.21

Properties
VASP energy in eV/atom: -3.863

Material: BeRh2Pb
Method: DFT, GGA-PBE
State: relaxed

a = 8.4899 Å, b = 3.6844 Å, c = 4.5993 Å
α = 90.00°, β = 121.78°, γ = 90.00°
Closest atoms and distances in Å follow each position.
Fractional positions:
Be: 0.0000 0.0000 0.0000  4 Rh 2.38
Be: 0.5000 0.5000 0.0000  4 Rh 2.38
Rh: 0.2080 0.5000 0.2051  2 Be 2.38
Rh: 0.2920 0.0000 0.7949  2 Be 2.38
Rh: 0.7080 0.0000 0.2051  2 Be 2.38
Rh: 0.7920 0.5000 0.7949  2 Be 2.38
Pb: 0.0000 0.5000 0.5000  8 Rh 2.74-2.80, 4 Be 2.95
Pb: 0.5000 0.0000 0.5000  8 Rh 2.74-2.80, 4 Be 2.95

Properties
VASP energy in eV/atom: -5.622

Material: AlOsW2
Method: DFT, GGA-PBE
State: relaxed

a = 9.3055 Å, b = 4.4594 Å, c = 3.1088 Å
α = 90.00°, β = 109.41°, γ = 90.00°
Closest atoms and distances in Å follow each position.
Fractional positions:
Al: 0.0000 0.0000 0.0000  2 Os 2.65, 6 W 2.72-2.76
Al: 0.5000 0.5000 0.0000  2 Os 2.65, 6 W 2.72-2.76
Os: 0.2452 0.0000 0.7438  2 Al 2.65, 6 W 2.69-2.72
Os: 0.7452 0.5000 0.7438  2 Al 2.65, 6 W 2.69-2.72
W: 0.2402 0.5000 0.2412  2 W 2.64-2.65, 4 Os 2.71-2.72, 2 Al 2.76
W: 0.4965 0.0000 0.4964  2 W 2.64-2.65, 2 Os 2.69-2.70, 4 Al 2.72
W: 0.7402 0.0000 0.2412  2 W 2.64-2.65, 4 Os 2.71-2.72, 2 Al 2.76
W: 0.9965 0.5000 0.4964  2 W 2.64-2.65, 2 Os 2.69-2.70, 4 Al 2.72

Properties
~~~

Acting like a rabies patient with red eyes, he started shouting again.

"SYSTEM!! Come out!!"

Seeing that nothing happened, he tried again now on the verge of insanity.

"STATUS!! YES!! Show me my Status!!

Still, nothing out of the ordinary happened as he barked like a dog.

"Hmm? Where is my golden finger??"

A bit flustered, Felix asked himself wondering whether his potential 'system' was still locked or if he didn't get one.

"Huff! Let's try to calm down and analyze what's happening around first."

Calming himself down as he took deep breaths, he started thinking about his situation with closed eyes.

Inserted here: calculated crystals >
~~~
# 1
Computed, not measured: a relaxed KMgN crystal at the PBE-GGA level of DFT.

Calculated values
The raw formation energy comes out at -0.6 eV/f.u. Its space group is P2_1/m (11). The value obtained for the total magnetic moment is 0.000 μB per formula unit. As for the raw total energy: -11.60 eV per formula unit.

Cell: 3.8275 3.8275 9.7841 Å, 90.00 90.04 90.00°
Sites, in units of the cell vectors:
K1 0.2490 0.2500 0.2340
K2 0.7510 0.7500 0.7660
Mg1 0.2493 0.7500 0.5001
Mg2 0.7507 0.2500 0.4999
N1 0.2495 0.2500 0.6004
N2 0.7505 0.7500 0.3996


# 2
Computed, not measured: a relaxed KMgN3 crystal at the PBE-GGA level of DFT.

Calculated values
The raw formation energy comes out at 13.2 eV/f.u. Its space group is Pm-3m (221). The value obtained for the total magnetic moment is 6.000 μB per formula unit. As for the raw total energy: -14.47 eV per formula unit.

Cell: 4.6095 4.6095 4.6095 Å, 90.00 90.00 90.00°
Sites, in units of the cell vectors:
K1 0.0000 0.0000 0.0000
Mg1 0.5000 0.5000 0.5000
N1 0.0000 0.0000 0.5000
N2 0.0000 0.5000 0.0000
N3 0.5000 0.0000 0.0000


# 3
Computed, not measured: a relaxed KMgN crystal at the PBE-GGA level of DFT.

Calculated values
The raw formation energy comes out at -0.4 eV/f.u. Its space group is Pnma (62). The value obtained for the total magnetic moment is 0.000 μB per formula unit. As for the raw total energy: -11.39 eV per formula unit.

Cell: 10.2441 3.9095 6.7054 Å, 90.00 90.00 90.00°
Sites, in units of the cell vectors:
K1 0.1601 0.2500 0.0534
K2 0.3399 0.7500 0.5534
K3 0.6601 0.2500 0.4466
K4 0.8399 0.7500 0.9466
Mg1 0.0446 0.2500 0.6057
Mg2 0.4554 0.7500 0.1057
Mg3 0.5446 0.2500 0.8943
Mg4 0.9554 0.7500 0.3943
N1 0.0641 0.7500 0.6760
N2 0.4359 0.2500 0.1760
N3 0.5641 0.7500 0.8240
N4 0.9359 0.2500 0.3240


What is the formula in the first record?
KMgN


Which of these has the highest raw formation energy?
KMgN3


Among the records above, which one has the lowest raw total energy?
KMgN3


Number 1 is which compound?
KMgN
~~~

"First of all, Why am I tied?"

Thinking for a bit, Felix started thinking that after getting thrashed around for some reason, the same guys must have tied him up.

"But for what reason"

Wanting to think of a good reason to tie a small and malnourished boy like him, he sank into deep thought.

Sadly he didn't have the time to do that as the thing that was carrying him suddenly stopped, making his body jolt forward and hit his head on the wooden wall.

"What the-"

With a 'neigh' sound of that of a horse, the curtains that did not let much light inside of the small space opened up revealing the blazing sun out there.

And with the sunlight came a shadow of a huge guy who used two of his bulky arms and picked Felix up by holding his neck.

"Now now kid...What were you muttering inside the carriage? Don't you know that slaves are not allowed to speak and shout!"

Lifting Felix above him, the buff and bald guy who was about 2 meters tall shouted near his ears almost making him deaf.

Resisting the strong arms on his neck and gasping for air, Felix looked at the scary guy with fear and thought about what he said.

'Slave? Did I just become a slave?'

Widening his eyes, Felix screamed inside his head.

'Why is my isekai so different from the cliche one?'